The Safety-Net Association of Pennsylvania is staffed by DeBrunner & Associates, Pennsylvania’s leading health care policy and advocacy consulting firm. Supported by a staff of professionals with extensive experience in the health care industry and public sector, the firm specializes in consulting with providers on a variety of government health policy issues, especially Medicaid and Medicare. In addition to an extensive health policy consulting practice in Harrisburg, DeBrunner & Associates works with clients throughout the country and in Washington, D.C.
Michael Chirieleison
Michael Chirieleison is SNAP’s president. He is responsible for evaluating SNAP’s public policy needs and direction, monitoring the status of state legislative and administrative actions that affect hospitals, managing the association’s political agenda, and directing strategic communication with state officials.
Mike is a respected source of information and expertise on the state’s Medicaid program and has 15 years of policy development and consulting experience. He began his career in public affairs on the staff of Pennsylvania state Senator Michael O’Pake (D-Berks), an author of various historic pieces of health care legislation. He then joined the Pennsylvania Treasury Department as a legislative liaison, developing strong relationships with key Senate and House members and staff and a keen understanding of the dynamics of the state legislative process. He also was awarded a fellowship by a major Pennsylvania health insurer to perform an organizational analysis of various financial and provider-related operations. Currently a partner with DeBrunner & Associates, Mike earned a bachelor’s degree in political science from Franklin & Marshall College.
Chris Beck
Chris Beck is SNAP’s legislative director. He is responsible for understanding the legislative and political environment, assessing how they affect SNAP members, and developing and implementing strategies to achieve SNAP’s public policy and legislative goals. He monitors the introduction and progress of legislation and closely follows legislative activity, including committee proceedings, the annual budget process, and other legislative activity.
A consultant with DeBrunner & Associates, Chris has an extensive background in government relations and health care policy. Prior to joining DeBrunner & Associates he spent nearly a decade developing, managing, and executing government relations strategies for Vertex, a biopharmaceutical company, and the Children’s Hospital of Philadelphia. Most recently he served as director of public affairs for the University of Pennsylvania Health System. Before working in government relations, Chris was an aide to U.S. Senator Arlen Specter. Chris graduated from Drexel University with a bachelor’s degree in history and political science.
Ben DeBrunner
Ben DeBrunner is SNAP’s director of policy analysis, focusing on state legislative, policy, and regulatory changes with potential implications for SNAP and its members. In this role Ben is responsible for understanding the state Medicaid and health care policy environment; analyzing new and emerging policy directions and assessing how they will affect SNAP members; identifying the potential problems, opportunities, and options those new policy directions pose; and developing a policy foundation for SNAP’s strategic responses to those changes on behalf of its members. He serves in a similar capacity for DeBrunner & Associates. Ben graduated from Sarah Lawrence College with a bachelor’s degree in liberal arts.
Kate Finkelstein
Kate Finkelstein serves as the association’s eyes and ears in Washington, D.C., monitoring federal legislative and regulatory developments of potential interest to Pennsylvania’s safety-net hospitals and serving as the group’s liaison to its congressional delegation. A consultant with DeBrunner & Associates, she is an effective advocate of the association’s interests before Congress and the administration.
Kate has an extensive background in the health care field and has worked for a number of health care organizations, including the Georgetown University Medical Center, the George Washington University Medical Center, and the University of Nebraska Medical Center. She holds a bachelor’s degree in English from Lamar University and earned a master’s degree in library and information science from Louisiana State University.
Janel Gleeson
Janel Gleeson serves as SNAP’s research and policy associate. In this role she monitors legislation and regulations, attends public meetings and hearings, and researches and analyzes issues of potential importance to Pennsylvania’s safety-net hospitals. She also participates in the collection, organization, and analysis of the health care data used to guide SNAP’s policy initiatives. She serves in a similar capacity for DeBrunner & Associates. Janel is a graduate of Dickinson College and Penn State Dickinson Law.
Ellen J. Kugler, Esq.
Quantum chemistry results, as found in the file:
********
# 1
Formula: C6H26O10
Source: OMol25
Level of theory: wB97M-V/def2-TZVPD

SMILES = OCCO.OCCO.OCCO.O.O.O.O
orbital gap = 9.2 eV
energy relative to the best compared isomer or geometry (same formula, charge and spin) = 4.002 eV
E_LUMO = -0.2276 eV
HOMO energy = -9.4 eV
energy = -27114.844 eV

Positions of all 42 atoms, in Å:
O -4.0010 15.7837 8.7761
C -4.4284 17.0665 8.8910
C -3.3405 18.0273 9.2319
O -3.8588 19.2632 9.6587
H -4.8043 15.2975 8.4529
H -4.8865 17.2068 7.9957
H -5.3688 17.0117 9.5635
H -2.6853 18.1557 8.2925
H -2.8809 17.5294 10.0383
H -4.4249 19.0497 10.3908
O -0.5382 14.5229 11.4135
C -1.8604 14.1891 11.8004
C -2.3405 15.2360 12.8299
O -3.7330 14.9414 12.7759
H -0.5331 14.9122 10.5777
H -2.4771 14.2933 10.9103
H -2.0062 13.1486 12.0900
H -2.2370 16.2302 12.3547
H -1.8188 15.3196 13.8562
H -3.9100 14.3822 13.4837
O -5.5650 13.1195 4.7514
C -5.0443 13.9858 5.6619
C -4.1955 15.0577 4.9879
O -3.1011 15.3090 5.7807
H -4.8584 12.6393 4.3072
H -5.9177 14.5593 6.1727
H -4.4357 13.4430 6.4301
H -4.6824 16.0612 4.8909
H -3.7590 14.8544 3.9758
H -2.6580 14.4590 5.8210
O -2.3037 11.9264 9.6590
H -2.6387 11.2439 9.0523
H -1.9841 11.3169 10.3555
O -1.4686 15.3736 8.7301
H -1.6355 14.4651 8.3747
H -2.2708 15.8366 8.5378
O -1.3688 13.0262 6.9102
H -1.5396 12.7489 7.8153
H -0.9203 12.2690 6.4856
O -0.5960 16.9146 6.1634
H -0.5163 16.4012 6.9448
H -0.3954 16.4342 5.3126

=====

# 2
Formula: C6H28ClO12
Source: OMol25
Level of theory: wB97M-V/def2-TZVPD

orbital gap = 10.0 eV
energy relative to the best compared isomer or geometry (same formula, charge and spin) = 1.128 eV
net charge = -1
E_LUMO = 2.5783 eV
HOMO energy = -7.5 eV
energy = -43763.772 eV

Positions of all 47 atoms, in Å:
Cl 0.8617 -1.3664 0.6652
O 1.1120 -2.7784 0.3874
O 0.5879 -1.1275 2.0702
O 2.0372 -0.5324 0.3562
O -0.2302 -0.9276 -0.1314
O 1.1563 -5.7330 0.8717
H 2.0818 -5.7420 1.1158
H 0.9545 -4.8081 0.7302
O -2.1730 -3.0730 1.4796
H -2.1203 -2.5517 2.2807
H -1.7396 -2.5369 0.8155
O -0.9229 -3.3385 -1.9552
H -0.2045 -2.9572 -2.4599
H -0.7015 -3.1507 -1.0431
O -2.0268 -1.6935 3.9118
H -1.0752 -1.6667 4.0108
H -2.2831 -0.7772 3.8070
O -3.3559 0.5256 -1.0950
H -2.9653 0.7606 -0.2533
H -2.6699 0.0371 -1.5499
O 4.2852 -2.3932 1.9116
H 3.4324 -2.1592 1.5452
H 4.3380 -1.9003 2.7304
C 1.4119 2.2592 -3.5168
C 0.7769 1.0343 -3.0365
C -0.5203 0.5447 -3.7135
O 1.7212 -0.0724 -2.8962
H 1.7315 2.1439 -4.5525
H 2.1503 2.6382 -2.8102
H 0.6646 3.0488 -3.5962
H 0.6716 1.1534 -1.9582
H -0.9156 -0.3995 -3.3387
H -0.2280 0.4504 -4.7593
H -1.3131 1.2862 -3.6149
H 1.5421 -0.6207 -2.1287
C -1.4143 3.5989 0.8443
C -0.7853 2.6146 1.8328
C 0.7322 2.5839 1.8296
O -1.1460 2.9955 3.1354
H -1.4120 4.6520 1.1257
H -2.4621 3.3520 0.6737
H -0.9076 3.5173 -0.1173
H -1.1173 1.6255 1.5172
H 1.0919 3.5652 2.1391
H 1.1528 2.2788 0.8714
H 1.0264 1.7702 2.4926
H -0.8306 3.8698 3.3757

=====

# 3
Formula: C6H28N2O6
Source: OMol25
Level of theory: wB97M-V/def2-TZVPD

SMILES = CNCCNC(C)C.O.O.O.O.O.O
orbital gap = 9.3 eV
********
Ellen Kugler is SNAP’s director of federal policy and is responsible for monitoring health policy developments in Washington, D.C. with a potential impact on SNAP hospitals and representing the interests of those hospitals before Congress and the administration. She is an expert in government health care policy, especially Medicaid and Medicare, as well as a skilled lobbyist with an extensive network of relationships on Capitol Hill.
Ellen’s career in the public policy arena began in the public sector in the 1980s when she worked for various state legislative leaders and presidential candidates. She then came to Washington, D.C. and served on the staffs of prominent members of the health subcommittees of both the House Ways and Means Committee and the House Energy and Commerce Committee. In 1992, Ellen moved into the private sector as a lobbyist and health care policy consultant. Today, as a partner in DeBrunner & Associates, she represents health care clients on a variety of policy issues before Congress and the administration and advises those clients on complex Medicaid and Medicare policy issues. A lawyer by training, Ellen is a graduate of Georgetown University Law Center, where she concentrated on health care and government law. She earned a bachelor’s degree in political science and urban planning from the University of California at Berkeley.
Joseph Steinbock
Joseph Steinbock is SNAP’s writer, responsible for preparing policy documents, position papers, proposals, press materials, and correspondence. He also contributes to the development of communication strategies.
Joe has worked as a public policy writer for nearly 30 years and currently does so for DeBrunner & Associates. After serving as research director of the Committee of Seventy, a non-profit civic group in Philadelphia, he worked as a grant writer for the American Red Cross and Hahnemann University. For the past 20 years he has worked as a writer for Pennsylvania’s largest government relations consulting firm, where he focused on health policy issues, and for a human resources and government relations consulting firm. Joe earned a bachelor’s degree in urban studies from the University of Pennsylvania.
James Tomkins
James Tomkins directs SNAP’s data analysis and policy development activities, managing the development of data needed to analyze the impact of proposed state Medicaid legislation and regulations on Pennsylvania’s safety-net hospitals. He also oversees the development of data used to drive SNAP’s own policy development and advocacy efforts.
A consultant with DeBrunner & Associates, Jim previously spent more than seven years with the Pennsylvania Health Care Cost Containment Council (PHC4). He also has worked for the Pennsylvania Department of Health and the Hamot Medical Center, in Erie. Jim has bachelor’s degrees in statistics and economics from the State University of New York at Buffalo, a master’s degree in health services administration from Gannon University, and a master’s degree in business administration from Pennsylvania State University.